Wanted:
Type out the calculation results below exactly.

Input:
-- begin --
No. 1
Li2CaPbI6: computed X-ray diffraction stick pattern (Cu Kα (λ = 1.5418 Å)), based on a PBE-relaxed structure.

abc: 8.391 8.391 8.391
angles: 55.34 55.34 55.34
Sites, in units of the cell vectors:
1 Li 0.000 0.000 0.000
2 Li 0.500 0.500 0.500
3 Ca 0.188 0.188 0.188
4 Pb 0.689 0.689 0.689
5 I 0.126 0.766 0.382
6 I 0.259 0.613 0.895
7 I 0.382 0.126 0.766
8 I 0.613 0.895 0.259
9 I 0.766 0.382 0.126
10 I 0.895 0.259 0.613

Most intense lines, 2θ = 15–90°, low angle first:
2theta, d [Å], I (rel.)
15.6, 5.697, 18
21.3, 4.174, 13
25.1, 3.541, 13
26.1, 3.414, 100
27.7, 3.216, 15
34.2, 2.621, 42
40.1, 2.250, 32
44.9, 2.019, 22
48.5, 1.878, 15
67.3, 1.391, 10

=====

No. 2
Rb2Li2CaI6: computed X-ray diffraction stick pattern (Cu Kα (λ = 1.5418 Å)), based on a PBE-relaxed structure.

abc: 8.435 8.435 9.009
angles: 113.05 113.05 62.11
Sites, in units of the cell vectors:
1 Rb 0.212 0.212 0.165
2 Rb 0.788 0.788 0.835
3 Li 0.441 0.441 0.726
4 Li 0.559 0.559 0.274
5 Ca 0.000 0.000 0.500
6 I 0.189 0.697 0.210
7 I 0.235 0.235 0.586
8 I 0.303 0.811 0.790
9 I 0.697 0.189 0.210
10 I 0.765 0.765 0.414
11 I 0.811 0.303 0.790

Most intense lines, 2θ = 15–90°, low angle first:
2theta, d [Å], I (rel.)
20.1, 4.428, 15
21.3, 4.170, 17
22.5, 3.959, 24
24.4, 3.655, 16
24.7, 3.605, 100
28.8, 3.104, 28
30.3, 2.948, 18
40.4, 2.232, 12
41.5, 2.176, 14
43.7, 2.071, 14

=====

No. 3
Rb2LiCaI5: computed X-ray diffraction stick pattern (Cu Kα (λ = 1.5418 Å)), based on a PBE-relaxed structure.

abc: 11.017 11.017 15.390
angles: 90.00 90.00 155.11
Sites, in units of the cell vectors:
1 Rb 0.108 0.892 0.500
2 Rb 0.126 0.874 0.140
3 Rb 0.874 0.126 0.640
4 Rb 0.892 0.108 0.000
5 Li 0.435 0.565 0.259
6 Li 0.565 0.435 0.759
7 Ca 0.206 0.794 0.845
8 Ca 0.794 0.206 0.345
9 I 0.060 0.940 0.856
10 I 0.287 0.713 0.484
11 I 0.307 0.693 0.205
12 I 0.350 0.650 0.825
13 I 0.498 0.502 0.106
14 I 0.502 0.498 0.606
15 I 0.650 0.350 0.325
16 I 0.693 0.307 0.705
17 I 0.713 0.287 0.984
18 I 0.940 0.060 0.356

Most intense lines, 2θ = 15–90°, low angle first:
2theta, d [Å], I (rel.)
22.4, 3.969, 16
24.0, 3.712, 36
24.6, 3.623, 24
25.3, 3.520, 37
25.5, 3.492, 38
25.9, 3.440, 100
28.0, 3.189, 42
30.4, 2.945, 20
37.9, 2.374, 26
42.2, 2.143, 31

=====

No. 4
CaMnI: computed X-ray diffraction stick pattern (Cu Kα (λ = 1.5418 Å)), based on a PBE-relaxed structure.

abc: 4.166 4.166 13.075
angles: 99.43 99.43 59.91
Sites, in units of the cell vectors:
1 Ca 0.000 0.000 0.000
2 Ca 0.128 0.128 0.373
3 Mn 0.397 0.397 0.186
4 Mn 0.730 0.730 0.186
5 I 0.615 0.615 0.847
6 I 0.847 0.847 0.526

Most intense lines, 2θ = 15–90°, low angle first:
2theta, d [Å], I (rel.)
20.8, 4.280, 79
24.8, 3.590, 62
26.4, 3.373, 52
27.3, 3.266, 61
29.7, 3.011, 26
31.0, 2.886, 100
34.1, 2.628, 34
42.2, 2.140, 26
43.5, 2.082, 83
48.7, 1.870, 32

=====

No. 5
Na2CaI4: computed X-ray diffraction stick pattern (Cu Kα (λ = 1.5418 Å)), based on a PBE-relaxed structure.

abc: 8.031 8.031 4.568
angles: 90.00 90.00 109.35
Sites, in units of the cell vectors:
1 Na 0.000 0.500 0.000
2 Na 0.500 0.000 0.000
3 Ca 0.000 0.000 0.500
4 I 0.236 0.236 0.000
5 I 0.241 0.759 0.500
6 I 0.759 0.241 0.500
7 I 0.764 0.764 0.000

Most intense lines, 2θ = 15–90°, low angle first:
2theta, d [Å], I (rel.)
23.5, 3.789, 69
23.7, 3.747, 68
27.2, 3.276, 50
27.4, 3.256, 100
39.0, 2.310, 75
39.5, 2.284, 19
46.0, 1.975, 32
46.4, 1.956, 22
48.0, 1.894, 19
48.6, 1.874, 20

=====

No. 6
CaNdI: computed X-ray diffraction stick pattern (Cu Kα (λ = 1.5418 Å)), based on a PBE-relaxed structure.

abc: 3.971 3.971 7.886
angles: 90.00 90.00 120.00
Sites, in units of the cell vectors:
1 Ca 0.000 0.000 0.000
2 Nd 0.667 0.333 0.373
3 I 0.333 0.667 0.679

Most intense lines, 2θ = 15–90°, low angle first:
2theta, d [Å], I (rel.)
28.3, 3.152, 100
34.1, 2.629, 18
34.6, 2.592, 64
45.7, 1.985, 25
53.6, 1.710, 14
54.6, 1.680, 16
58.2, 1.584, 22
58.6, 1.576, 14
73.9, 1.282, 13
77.3, 1.234, 12


Record 1
-- stop --

Completed:
No. 1
Li2CaPbI6: computed X-ray diffraction stick pattern (Cu Kα (λ = 1.5418 Å)), based on a PBE-relaxed structure.

abc: 8.391 8.391 8.391
angles: 55.34 55.34 55.34
Sites, in units of the cell vectors:
1 Li 0.000 0.000 0.000
2 Li 0.500 0.500 0.500
3 Ca 0.188 0.188 0.188
4 Pb 0.689 0.689 0.689
5 I 0.126 0.766 0.382
6 I 0.259 0.613 0.895
7 I 0.382 0.126 0.766
8 I 0.613 0.895 0.259
9 I 0.766 0.382 0.126
10 I 0.895 0.259 0.613

Most intense lines, 2θ = 15–90°, low angle first:
2theta, d [Å], I (rel.)
15.6, 5.697, 18
21.3, 4.174, 13
25.1, 3.541, 13
26.1, 3.414, 100
27.7, 3.216, 15
34.2, 2.621, 42
40.1, 2.250, 32
44.9, 2.019, 22
48.5, 1.878, 15
67.3, 1.391, 10

=====

No. 2
Rb2Li2CaI6: computed X-ray diffraction stick pattern (Cu Kα (λ = 1.5418 Å)), based on a PBE-relaxed structure.

abc: 8.435 8.435 9.009
angles: 113.05 113.05 62.11
Sites, in units of the cell vectors:
1 Rb 0.212 0.212 0.165
2 Rb 0.788 0.788 0.835
3 Li 0.441 0.441 0.726
4 Li 0.559 0.559 0.274
5 Ca 0.000 0.000 0.500
6 I 0.189 0.697 0.210
7 I 0.235 0.235 0.586
8 I 0.303 0.811 0.790
9 I 0.697 0.189 0.210
10 I 0.765 0.765 0.414
11 I 0.811 0.303 0.790

Most intense lines, 2θ = 15–90°, low angle first:
2theta, d [Å], I (rel.)
20.1, 4.428, 15
21.3, 4.170, 17
22.5, 3.959, 24
24.4, 3.655, 16
24.7, 3.605, 100
28.8, 3.104, 28
30.3, 2.948, 18
40.4, 2.232, 12
41.5, 2.176, 14
43.7, 2.071, 14

=====

No. 3
Rb2LiCaI5: computed X-ray diffraction stick pattern (Cu Kα (λ = 1.5418 Å)), based on a PBE-relaxed structure.

abc: 11.017 11.017 15.390
angles: 90.00 90.00 155.11
Sites, in units of the cell vectors:
1 Rb 0.108 0.892 0.500
2 Rb 0.126 0.874 0.140
3 Rb 0.874 0.126 0.640
4 Rb 0.892 0.108 0.000
5 Li 0.435 0.565 0.259
6 Li 0.565 0.435 0.759
7 Ca 0.206 0.794 0.845
8 Ca 0.794 0.206 0.345
9 I 0.060 0.940 0.856
10 I 0.287 0.713 0.484
11 I 0.307 0.693 0.205
12 I 0.350 0.650 0.825
13 I 0.498 0.502 0.106
14 I 0.502 0.498 0.606
15 I 0.650 0.350 0.325
16 I 0.693 0.307 0.705
17 I 0.713 0.287 0.984
18 I 0.940 0.060 0.356

Most intense lines, 2θ = 15–90°, low angle first:
2theta, d [Å], I (rel.)
22.4, 3.969, 16
24.0, 3.712, 36
24.6, 3.623, 24
25.3, 3.520, 37
25.5, 3.492, 38
25.9, 3.440, 100
28.0, 3.189, 42
30.4, 2.945, 20
37.9, 2.374, 26
42.2, 2.143, 31

=====

No. 4
CaMnI: computed X-ray diffraction stick pattern (Cu Kα (λ = 1.5418 Å)), based on a PBE-relaxed structure.

abc: 4.166 4.166 13.075
angles: 99.43 99.43 59.91
Sites, in units of the cell vectors:
1 Ca 0.000 0.000 0.000
2 Ca 0.128 0.128 0.373
3 Mn 0.397 0.397 0.186
4 Mn 0.730 0.730 0.186
5 I 0.615 0.615 0.847
6 I 0.847 0.847 0.526

Most intense lines, 2θ = 15–90°, low angle first:
2theta, d [Å], I (rel.)
20.8, 4.280, 79
24.8, 3.590, 62
26.4, 3.373, 52
27.3, 3.266, 61
29.7, 3.011, 26
31.0, 2.886, 100
34.1, 2.628, 34
42.2, 2.140, 26
43.5, 2.082, 83
48.7, 1.870, 32

=====

No. 5
Na2CaI4: computed X-ray diffraction stick pattern (Cu Kα (λ = 1.5418 Å)), based on a PBE-relaxed structure.

abc: 8.031 8.031 4.568
angles: 90.00 90.00 109.35
Sites, in units of the cell vectors:
1 Na 0.000 0.500 0.000
2 Na 0.500 0.000 0.000
3 Ca 0.000 0.000 0.500
4 I 0.236 0.236 0.000
5 I 0.241 0.759 0.500
6 I 0.759 0.241 0.500
7 I 0.764 0.764 0.000

Most intense lines, 2θ = 15–90°, low angle first:
2theta, d [Å], I (rel.)
23.5, 3.789, 69
23.7, 3.747, 68
27.2, 3.276, 50
27.4, 3.256, 100
39.0, 2.310, 75
39.5, 2.284, 19
46.0, 1.975, 32
46.4, 1.956, 22
48.0, 1.894, 19
48.6, 1.874, 20

=====

No. 6
CaNdI: computed X-ray diffraction stick pattern (Cu Kα (λ = 1.5418 Å)), based on a PBE-relaxed structure.

abc: 3.971 3.971 7.886
angles: 90.00 90.00 120.00
Sites, in units of the cell vectors:
1 Ca 0.000 0.000 0.000
2 Nd 0.667 0.333 0.373
3 I 0.333 0.667 0.679

Most intense lines, 2θ = 15–90°, low angle first:
2theta, d [Å], I (rel.)
28.3, 3.152, 100
34.1, 2.629, 18
34.6, 2.592, 64
45.7, 1.985, 25
53.6, 1.710, 14
54.6, 1.680, 16
58.2, 1.584, 22
58.6, 1.576, 14
73.9, 1.282, 13
77.3, 1.234, 12


Record 1